Body-mind Related Therapy
### Misplaced data records
'''
1.
# PBE AlIn3Pd, optimized geometry
data_AlIn3Pd
_chemical_formula_sum 'Al1 In3 Pd1'
_symmetry_space_group_name_H-M 'P 1'
_symmetry_Int_Tables_number 1
_symmetry_space_group_name_Hall 'P 1'
_cell_length_a 5.213
_cell_length_b 5.213
_cell_length_c 5.213
_cell_angle_alpha 90.00
_cell_angle_beta 90.00
_cell_angle_gamma 90.00
loop_
_atom_site_label
_atom_site_fract_x
_atom_site_fract_y
_atom_site_fract_z
Al1 0.000 0.000 0.000
In1 0.000 0.000 0.500
In2 0.000 0.500 0.000
In3 0.500 0.000 0.000
Pd1 0.500 0.500 0.500
# - Energy of formation from the pure elements: 0.5502 eV/atom
# - Energy: -14.4 eV/cell
# - Total magnetic moment: 0.00 μB/cell
# - Mass density: 5.6 g/cm3
# - Volume: 141.7 Å³ per cell

---

2.
# PBE Al2In2Pd7, optimized geometry
data_Al2In2Pd7
_chemical_formula_sum 'Al2 In2 Pd7'
_symmetry_space_group_name_H-M 'P 1'
_symmetry_Int_Tables_number 1
_symmetry_space_group_name_Hall 'P 1'
_cell_length_a 5.961
_cell_length_b 5.961
_cell_length_c 5.723
_cell_angle_alpha 90.00
_cell_angle_beta 90.00
_cell_angle_gamma 98.42
loop_
_atom_site_label
_atom_site_fract_x
_atom_site_fract_y
_atom_site_fract_z
Al1 0.220 0.780 0.000
Al2 0.780 0.220 0.000
In1 0.311 0.311 0.500
In2 0.689 0.689 0.500
Pd1 0.000 0.000 0.258
Pd2 0.000 0.000 0.742
Pd3 0.000 0.500 0.252
Pd4 0.000 0.500 0.748
Pd5 0.500 0.000 0.252
Pd6 0.500 0.000 0.748
Pd7 0.500 0.500 0.000
# - Energy of formation from the pure elements: -0.4180 eV/atom
# - Energy: -53.9 eV/cell
# - Total magnetic moment: 0.00 μB/cell
# - Mass density: 8.5 g/cm3
# - Volume: 201.2 Å³ per cell

---

3.
# PBE AlInPd5, optimized geometry
data_AlInPd5
_chemical_formula_sum 'Al1 In1 Pd5'
_symmetry_space_group_name_H-M 'P 1'
_symmetry_Int_Tables_number 1
_symmetry_space_group_name_Hall 'P 1'
_cell_length_a 4.131
_cell_length_b 4.131
_cell_length_c 6.790
_cell_angle_alpha 90.00
_cell_angle_beta 90.00
_cell_angle_gamma 90.00
loop_
_atom_site_label
_atom_site_fract_x
_atom_site_fract_y
_atom_site_fract_z
Al1 0.000 0.000 0.000
In1 0.500 0.500 0.500
Pd1 0.000 0.000 0.500
Pd2 0.000 0.500 0.213
Pd3 0.000 0.500 0.787
Pd4 0.500 0.000 0.213
Pd5 0.500 0.000 0.787
# - Energy of formation from the pure elements: -0.5279 eV/atom
# - Energy: -36.1 eV/cell
# - Total magnetic moment: 0.00 μB/cell
# - Mass density: 9.7 g/cm3
# - Volume: 115.9 Å³ per cell

---

4.
# PBE AlInPd14, optimized geometry
data_AlInPd14
_chemical_formula_sum 'Al1 In1 Pd14'
_symmetry_space_group_name_H-M 'P 1'
_symmetry_Int_Tables_number 1
_symmetry_space_group_name_Hall 'P 1'
_cell_length_a 5.688
_cell_length_b 5.688
_cell_length_c 7.690
_cell_angle_alpha 90.00
_cell_angle_beta 90.00
_cell_angle_gamma 90.00
loop_
_atom_site_label
_atom_site_fract_x
_atom_site_fract_y
_atom_site_fract_z
Al1 0.000 0.000 0.000
In1 0.500 0.500 0.000
Pd1 0.000 0.000 0.500
Pd2 0.000 0.500 0.000
Pd3 0.000 0.500 0.500
Pd4 0.246 0.246 0.246
Pd5 0.246 0.246 0.754
Pd6 0.246 0.754 0.246
Pd7 0.246 0.754 0.754
Pd8 0.500 0.000 0.000
Pd9 0.500 0.000 0.500
Pd10 0.500 0.500 0.500
'''
### The data records stop here
身心覺受(Embodiment* 體化認知)是最近培訓和心理輔導的一個大趨勢。不同的身心介入方式或心理治療如正念靜觀、體感療癒、心理專注介入或舞蹈動作治療等,已經變得越來越流行和實證為本。
「體感療癒是一種新穎的治療形式,由 Levine (1977, 1997, 2010) 在過去 45 年中開發。它專注於解決慢性壓力和創傷後壓力的症狀。 體感療癒與認知療法的不同之處在於它的主要干預策略涉及自下而上的處理,通過將受助者的注意力引導到內部感覺,包括內臟(內感覺)和肌肉骨骼(本體感覺和運動感覺),而不是主要的認知或情感體驗。
靜觀是一種治療技術,可以幫助您管理和預防抑鬱、壓力、焦慮或不滿情緒。 它使任何實踐的人都能過得更加專注、感恩和充滿活力的生活。 保持正念就是要意識到自己的經歷,時時刻刻,不加評判。於過去二十年在學術界、醫學界越來越受重視。在學術界,每年有關靜觀的文獻數量由2001年28篇急升至2011年397篇。於2014年2月更被《時代雜誌》以靜觀為一個革命設為封面。在美國,於不同的組織包括醫院、中小學、商業機構,甚至監獄也有各種不同的靜觀課程,以提升不同人士的身心健康和生活質素。
*What is Embodiment?
Embodiment is a big topic in recent training and counselling trend. Different body-mind based practice such as mindfulness, somatic experiencing, focusing, dance movement therapy and etc. has become more popular and evidence based.
Embodiment practices are derived from somatic therapy. Somatic therapy focuses on this very important mind/body interface. This form of therapy is inclusive and takes a holistic therapeutic approach.
Rather than focusing on the mind as other therapies do, somatic psychology focuses on the feedback loop between the body and mind. Therefore, having body awareness becomes a crucial healing agent.
Tension and pain no longer take up residence in the body anymore. In this kind of therapy, patients go beyond where verbal communication or talk therapy can take them. Somatic therapists employ mind-body techniques for the sake of releasing what’s weighing on you physically and emotionally.
Mental health practitioners use somatic therapy or embodiment therapy in a variety of ways. They employ body-oriented modalities for the betterment of patients in these types of activities:
Dance and movement
Voice work
Progressive muscle tightening & relaxing
Grounding exercises
Dance and Movement Therapy has over 60 years of history and it is an effective evidence based practice. The American Dance Therapy Association (ADTA) defines dance/movement therapy as the psychotherapeutic use of movement to promote emotional, social, cognitive and physical integration of the individual. It is not about learning dance, but aware of own body language, body-mind messages and subconscious mind to process and transform own state.
“SE is a novel form of therapy, developed by Levine (1977, 1997, 2010) over the past 45 years. It focuses on resolving the symptoms of chronic stress and post-traumatic stress. SE differs from cognitive therapies in that its major interventional strategy involves bottom-up processing by directing the client's attention to internal sensations, both visceral (interception) and musculoskeletal (proprioception and kinesthesis), rather than primarily cognitive or emotional experiences.
The sophisticated and precise theories and techniques of SE offer a way of understanding the processes that occur during mindfulness meditation, both the beneficial mental, emotional and physiological effects of mindfulness meditation and the flooding or dissociation that can occur when traumatic memories surface. In addition, SE can suggest ways in which mindfulness meditation practices could be modified to enable meditators to process traumatic material, and traumatized people to use mindfulness-based techniques to help them recover.”
“Mindfulness is a therapeutic technique that can help you manage and prevent feelings of depression, stress, anxiety, or discontent. It enables anyone who practices it to live a more attentive, appreciative and vibrant life. To be mindful is to be aware of your own experience, moment to moment, without judgment.”
In the past two decades, it has received increasing attention in the field of psychology and medicine. In academia, the number of articles on mindfulness has risen sharply from 28 in 2001 to 397 in 2011. In February 2014, it was featured on the cover of Time Magazine with the idea of presenting it as a revolution. In the United States, different organizations, including hospitals, primary and secondary schools, commercial institutions, and even prisons, have various meditation courses to improve the physical and mental health and quality of life of different people.
費用︰每小時港幣$1,500, 六節為一單元,每個單元$7,800 。